Hovering on the edge of imortality

My morning began with a walk in the woods to gather my thoughts, to admire and enjoy the glorious sunlight, blue skies and white puffy clouds.

It was quite lovely and it felt like a gentle blanket of silent beauty had been draped all around me.

I was loathe to leave, but work called me back to the studio.

So here I sit editing, cropping  and creating photographs. Below are some of my recent art work.


Hovering on the edge of immortality ~ Rose Arizmendi © 2014


Moonlight printed garden pot ~ Rose Arizmendi © 2014


Vintage Roses ~ Rose Arizmendi © 2014

Have a lovely, magical, creative day everyone~rose

A Little Of What I’ve Been Up To

Sunny and pleasant in northern California today while the rest of the country is experiencing wild winter storms. Please stay warm and safe everyone!

It’s been awhile since I’ve posted here, actually it’s been over two years and I have no particular reason why I stopped posting on this site except to take a break, to go deeper,  and to explore other mediums .

Here’s what I have been working on lately…


And this….


The enchanted moon…kissing the realm of the sacred, darkling woods. -rose


A gossamer hush fell over the woods…echoing with enchantment and mystery. -rose

That’s all for today folks! xo


Quotes for the day ~ “There is a vitality, a life force, an energy, a quickening that is translated through you into action, and because there is only one of you in all time, this expression is unique. And if you block it, it will never exist through any other medium and will be lost.” ~Martha Graham


“Do your little bit of good where you are; it’s those little bits of good put together that overwhelm the world.” ~ Archbishop Desmond Tutu


In Search Of Trees

I’ve spent the month focused on my online store, turning all thoughts and energy to jewelry, I am surprised and happy with what has been unfolding before me. The new designs seem to flow out of me coming from somewhere deep inside ~ these old hands ache but it’s a sweet ache. I do love what I do!

Later today, I took my camera out for a walk in search of trees. I needed a break from the computer and trees call to me and soothe my soul as little else can.

My walk ~ in a word ~ splendid

Trees ~ sky ~ Magic

“There is always Music amongst the trees in the Garden,
but our hearts must be very quiet to hear it.”
–   Minnie Aumonier

The Heralds Of Autumn

Woke up to a cold, gray morning. Brr

As I stepped out onto the patio, my ears were greeted by the squawking of geese overhead as they made their journey south. The heralds of Autumn.

Afternoon winds gently blowing against the curtains. The smell of old leaves and earth . . . Reflections . . .  Recollections of all the past Autumns . . .  Time slipping by . . . Sweet longing for a place where I can curl up unnoticed and sleep in the late afternoon sun … warm and comforted . . . safe and loved

_These crystal structures were left in the page by mistake_
+++
Entry from the Materials Project: crystalline NaLaF4 at its relaxed geometry (r2SCAN).

## Properties
As for the formation energy: -3.990 eV/atom. As for the space-group type: No. 1. The value obtained for the energy is -69.75 eV per formula unit. For the volume, the calculation gives 13.74 Å³ per atom.

a = 6.128 Å, b = 7.191 Å, c = 7.209 Å
α = 63.99°, β = 64.91°, γ = 64.98°
Positions (direct):
Na  0.667  0.488  0.159
Na  0.663  0.014  0.674
Na  0.330  0.444  0.893
F  0.041  0.827  0.759
F  0.280  0.138  0.617
F  0.586  0.720  0.657
F  0.970  0.895  0.378
F  0.594  0.179  0.191
F  0.985  0.389  0.879
F  0.373  0.548  0.491
F  0.029  0.285  0.309
F  0.748  0.252  0.742
F  0.377  0.013  0.019
F  0.757  0.738  0.223
F  0.261  0.629  0.122
La  0.337  0.930  0.398
La  0.004  0.006  0.990
La  0.996  0.505  0.499

Entry from the Materials Project: crystalline LaSeO3F at its relaxed geometry (r2SCAN).

## Properties
As for the formation energy: -2.609 eV/atom. As for the space-group type: No. 14. The value obtained for the energy is -80.75 eV per formula unit. For the volume, the calculation gives 15.12 Å³ per atom.

a = 7.139 Å, b = 8.475 Å, c = 18.131 Å
α = 83.10°, β = 90.00°, γ = 90.00°
Positions (direct):
O  0.888  0.286  0.830
O  0.765  0.088  0.380
O  0.247  0.876  0.770
O  0.982  0.588  0.847
O  0.235  0.912  0.620
O  0.569  0.394  0.303
O  0.388  0.214  0.170
O  0.033  0.322  0.422
O  0.861  0.972  0.863
O  0.411  0.133  0.439
O  0.612  0.786  0.830
O  0.361  0.528  0.137
O  0.735  0.588  0.380
O  0.931  0.894  0.303
O  0.518  0.088  0.847
O  0.851  0.064  0.534
O  0.149  0.936  0.466
O  0.533  0.178  0.578
O  0.967  0.678  0.578
O  0.139  0.028  0.137
O  0.253  0.376  0.770
O  0.911  0.367  0.561
O  0.112  0.714  0.170
O  0.089  0.633  0.439
O  0.649  0.564  0.534
O  0.589  0.867  0.561
O  0.467  0.822  0.422
O  0.069  0.106  0.697
O  0.753  0.124  0.230
O  0.747  0.624  0.230
O  0.639  0.472  0.863
O  0.351  0.436  0.466
O  0.018  0.412  0.153
O  0.265  0.412  0.620
O  0.431  0.606  0.697
O  0.482  0.912  0.153
La  0.169  0.118  0.847
La  0.680  0.314  0.451
La  0.820  0.814  0.451
La  0.180  0.186  0.549
La  0.829  0.702  0.954
La  0.831  0.882  0.153
La  0.320  0.686  0.549
La  0.329  0.798  0.046
La  0.331  0.618  0.847
La  0.171  0.298  0.046
La  0.669  0.382  0.153
La  0.671  0.202  0.954
Se  0.596  0.593  0.303
Se  0.674  0.976  0.803
Se  0.680  0.021  0.600
Se  0.320  0.979  0.400
Se  0.174  0.524  0.197
Se  0.326  0.024  0.197
Se  0.826  0.476  0.803
Se  0.096  0.907  0.697
Se  0.904  0.093  0.303
Se  0.180  0.479  0.400
Se  0.820  0.521  0.600
Se  0.404  0.407  0.697
F  0.649  0.920  0.002
F  0.351  0.080  0.998
F  0.291  0.345  0.915
F  0.503  0.349  0.037
F  0.791  0.155  0.085
F  0.149  0.580  0.998
F  0.709  0.655  0.085
F  0.851  0.420  0.002
F  0.497  0.651  0.963
F  0.997  0.849  0.037
F  0.003  0.151  0.963
F  0.209  0.845  0.915

Entry from the Materials Project: crystalline LaSiO3F at its relaxed geometry (r2SCAN).
+++

Weaving ~ Creating ~ For now, this moment is all I need. x0

Signs Of Autumn

The signs of Autumn have arrived. Brisk mornings, browning leaves rattling down the street carried by strong breezes and me with a cup of hot coffee in my hand watching the sun slowly rise over the mountain. What an incredibly beautiful day!

Quietly painting in the studio. Images & dreams I will always carry in my heart.

Sonoma Tree Line – Digital Painting – Watercolor & Impasto brushstrokes on layers – 8 x 10 inches

So many signs Quiet Change

Ephemeral things – soft and fragile

Slower, Deeper – The Wheel of life Turns

To the Light of September

When you are already here
you appear to be only
a name that tells of you
whether you are present or not

and for now it seems as though
you are still summer
still the high familiar
endless summer
yet with a glint
of bronze in the chill mornings
and the late yellow petals
of the mullein fluttering
on the stalks that lean
over their broken
shadows across the cracked ground

but they all know
that you have come
the seed heads of the sage
the whispering birds
with nowhere to hide you
to keep you for later

who fly with them

you who are neither
before nor after
you who arrive
with blue plums

that have fallen through the night

perfect in the dew
– w.s. merwiin

And It’s August Again

A peak at a new digital painting I am working on.

Taking a break on the patio. It’s been a rather stressful week and I just needed to relax for awhile, so as I sat down, I noticed the antique bottle I had left out on the table yesterday.

I love these old bottles, the way the light reflects off of them, the soft muted colors and the way they make me feel nostalgic. Like dear old friends!

This bottle belonged to Aunt Margie and I know she would love the fact that I found such an unusual use for it.

Cleaned up my messy studio. Whew! Organized my acrylics, brushes and art journals.

Organic lettuce, homemade balsamic honey dressing, add some wine and good company and you have the makings for a perfect meal.

At the end of the day …

Nothing left to say …

Watching the sun go down over the hill … xo

What has been going on lately

The days of summer are going by so fast and I have been taking lots of photographs to capture the precious moments to soothe and comfort me in the winter. I will post more later.

Thought you might like to take a peak at my work space.
I am painting more. . .

Playing with beads and creating more necklaces . . .  Enjoying myself

Making heavenly organic cacao truffles. Yummy! Many thanks to my friend Salina for this wonderful recipe.

I love this time of the year and all the good things that come with warmer weather barbecues, unplanned adventures, gathering my thoughts, journaling, sipping tea, going for long walks, visiting friends and creating fearlessly.

Finding refuge in the simple things – roses, stones and tree roots.

That’s all for today folks. xo

Out with the old, in with the new

For me Spring is always a good time to start new projects and today seemed like the perfect day to give my blog a new face lift. So here it is!

I am still in the process of dreaming up new things I can add to it later.  Of course, there are some minor things that still need to be done.

Yesterday,  I took some photographs while I was on my morning walk. Here are two that I would like to share with you. Can you guess what the second photograph is?

Photo #1

Photo #2

Tableau Of Pears

Tablleau of Four Pears

Here is an interesting tableau of pears that I found while taking my morning walk. It felt like I had somehow stumbled upon a secret hiding place where someone had placed four pears to ripen.

There they were waiting for the return of  whomever put them there for safe keeping. A pair of worker’s gloves resting on the ground nearby and the quiet solitude of the place made me feel like an intruder of sorts.

I quickly snapped a couple of pictures and moved on. I looked around but didn’t see anyone, and I wondered about the story behind the pears and the mystery person who placed them there.

thought for the day;

“Without mysteries, life would be very dull indeed. What would be left to strive for if everything were known?” – Charles de Lint

Journey Of Courage

Journey of Courage

It takes courage to try new things and explore uncharted waters. Especially when our inner critic keeps whispering in our ear  . . . I wouldn’t do that if I were you!  You really don’t have time for this! Remember how frustrated you can get with Photoshop!

Today, I played around with some photographs taken over the past couple of months, and tried my hand at creating a photomontage/collage using Photoshop & Painter 7.

I tried several different techniques I had read about, and ended up merging them all together in this one image. Some of the techniques worked and some didn’t, but I sure had fun!

Photoshop and I have an uneasy relationship, and one of these days I am going to take a class. I know it would make my life so much easier!

thought for the day;

“Another word for creativity is courage.” – George Prince

“Creativity is inventing, experimenting, growing, taking risks, breaking rules, making mistakes, and having fun.” – Mary Lou Cook